[Exercise]
Next, echo the entries below from the line with "-2.844" to the end with every line break kept.
[Source]
'''
C5H4S2 as an isolated structure at a distorted geometry. Source: the OMol25 dataset; level of theory: wB97M-V/def2-TZVPD.

Positions of all 11 atoms, in Å:
C 1.850 0.378 -0.216
C 0.915 -0.696 0.303
C -0.360 0.243 0.519
C -1.551 0.176 -0.277
C -2.599 0.234 -0.913
H 0.717 -1.561 -0.450
H 1.207 -1.099 1.319
H -0.683 0.245 1.591
H -3.611 0.158 -1.371
S 3.416 0.267 -0.526
S 0.699 1.654 0.021

Properties
orbital gap: 8.585 eV

=====

C30H14BrCl80N4O2 as an isolated structure at a distorted geometry. Source: the OMol25 dataset; level of theory: wB97M-V/def2-TZVPD.

Positions of all 131 atoms, in Å:
C 1.561 2.683 2.867
C 1.537 2.699 1.439
N 1.629 3.296 0.019
N 2.682 2.919 -0.809
C 2.440 3.747 -2.052
C 3.536 3.586 -3.262
O 4.882 3.503 -2.605
C 5.295 4.824 -2.105
C 5.134 5.342 -0.535
O 5.880 5.725 -2.943
N 1.195 4.595 -1.905
C 0.652 5.568 -2.930
C 1.238 7.067 -2.480
C 0.411 7.684 -1.207
Br 0.769 9.657 -1.092
C 0.638 4.317 -0.522
N -0.568 4.881 0.204
H 1.648 2.730 4.057
H 3.436 2.568 -3.870
H 3.551 4.525 -3.986
H 5.585 6.424 -0.368
H 3.984 5.428 -0.315
H 5.640 4.631 0.249
H -0.536 5.559 -3.004
H 1.088 5.308 -3.994
H 1.290 7.756 -3.425
H 2.352 6.866 -2.103
H -0.736 7.437 -1.261
H 0.841 7.143 -0.234
H -1.471 4.662 -0.293
H -0.587 4.522 1.199
C 1.029 0.418 -5.570
Cl 1.440 1.546 -4.254
Cl 0.074 -0.936 -4.915
Cl 0.075 1.273 -6.809
Cl 2.526 -0.211 -6.303
C 1.329 -0.682 -0.628
Cl 1.227 0.851 0.273
Cl 2.131 -0.399 -2.194
Cl 2.270 -1.864 0.316
Cl -0.312 -1.317 -0.908
C 4.629 -3.631 -4.909
Cl 3.748 -2.470 -3.883
Cl 5.366 -4.888 -3.884
Cl 3.495 -4.389 -6.056
Cl 5.905 -2.777 -5.812
C -3.771 -1.440 1.339
Cl -4.673 -1.957 2.786
Cl -2.287 -0.590 1.837
Cl -3.340 -2.868 0.366
Cl -4.786 -0.344 0.368
C 7.314 0.493 -2.564
Cl 7.212 2.026 -1.663
Cl 8.116 0.776 -4.130
Cl 8.255 -0.689 -1.620
Cl 5.673 -0.143 -2.844
C 3.714 -6.504 -9.753
Cl 4.656 -5.176 -9.030
Cl 2.407 -6.980 -8.639
Cl 3.010 -5.961 -11.297
Cl 4.782 -7.900 -10.046
C -0.786 6.135 4.460
Cl -1.688 5.618 5.907
Cl 0.698 6.986 4.958
Cl -0.354 4.707 3.487
Cl -1.801 7.231 3.488
C 4.614 7.904 3.710
Cl 3.521 8.053 2.311
Cl 5.498 6.360 3.611
Cl 5.775 9.255 3.702
Cl 3.662 7.947 5.215
C 5.514 0.936 3.621
Cl 5.694 -0.665 2.860
Cl 3.905 1.598 3.239
Cl 5.687 0.776 5.387
Cl 6.771 2.034 2.998
C -6.486 3.320 2.240
Cl -6.881 3.606 0.526
Cl -7.597 4.258 3.269
Cl -6.657 1.585 2.607
Cl -4.809 3.832 2.556
C 1.803 -9.080 -5.212
Cl 0.323 -8.272 -5.790
Cl 2.638 -9.845 -6.588
Cl 2.880 -7.877 -4.458
Cl 1.371 -10.325 -4.013
C -5.097 -1.943 7.144
Cl -6.428 -2.184 5.984
Cl -5.263 -3.100 8.488
Cl -3.538 -2.207 6.322
Cl -5.158 -0.279 7.780
C -3.597 -8.361 -5.516
Cl -3.699 -6.828 -4.615
Cl -2.795 -8.078 -7.081
Cl -2.656 -9.543 -4.572
Cl -5.238 -8.996 -5.795
C -7.797 8.489 2.600
Cl -8.699 7.971 4.047
Cl -6.313 9.339 3.098
Cl -7.365 7.060 1.627
Cl -8.812 9.585 1.628
C -9.912 -3.309 8.309
Cl -10.480 -4.042 9.830
Cl -10.740 -1.752 8.054
Cl -8.153 -3.039 8.401
Cl -10.274 -4.404 6.951
C 9.460 3.746 6.115
Cl 9.061 2.180 6.864
Cl 7.981 4.476 5.441
Cl 10.152 4.834 7.345
Cl 10.647 3.495 4.810
C -7.040 -11.551 -9.006
Cl -7.439 -13.118 -8.257
Cl -8.519 -10.821 -9.680
Cl -6.348 -10.464 -7.776
Cl -5.853 -11.802 -10.312
C 5.261 -2.471 7.742
Cl 4.167 -2.322 6.343
Cl 6.145 -4.015 7.643
Cl 6.422 -1.120 7.734
Cl 4.308 -2.427 9.247
C -6.440 -6.106 4.878
Cl -6.834 -5.820 3.164
Cl -7.551 -5.168 5.908
Cl -6.611 -7.841 5.246
Cl -4.762 -5.594 5.195
C -6.740 -7.894 -1.546
Cl -6.328 -6.765 -0.229
Cl -7.694 -9.248 -0.890
Cl -7.693 -7.039 -2.784
Cl -5.242 -8.523 -2.278

Properties
orbital gap: 7.704 eV
net charge: +1

=====

A 2-piece molecular cluster, C4H8O overall at a distorted geometry. Source: the OMol25 dataset; level of theory: wB97M-V/def2-TZVPD.

Positions of all 13 atoms, in Å:
C 1.409 -4.185 0.523
C 0.764 -4.057 1.686
H 2.110 -3.411 0.234
H 1.359 -5.145 0.025
H 0.960 -3.138 2.230
H 0.449 -4.954 2.205
O -0.641 2.138 0.115
C -0.948 2.715 -0.889
C -1.149 4.208 -1.049
H -0.696 2.129 -1.791
H -1.828 4.420 -1.874
H -1.613 4.631 -0.161
'''
[Completed]
Cl 5.673 -0.143 -2.844
C 3.714 -6.504 -9.753
Cl 4.656 -5.176 -9.030
Cl 2.407 -6.980 -8.639
Cl 3.010 -5.961 -11.297
Cl 4.782 -7.900 -10.046
C -0.786 6.135 4.460
Cl -1.688 5.618 5.907
Cl 0.698 6.986 4.958
Cl -0.354 4.707 3.487
Cl -1.801 7.231 3.488
C 4.614 7.904 3.710
Cl 3.521 8.053 2.311
Cl 5.498 6.360 3.611
Cl 5.775 9.255 3.702
Cl 3.662 7.947 5.215
C 5.514 0.936 3.621
Cl 5.694 -0.665 2.860
Cl 3.905 1.598 3.239
Cl 5.687 0.776 5.387
Cl 6.771 2.034 2.998
C -6.486 3.320 2.240
Cl -6.881 3.606 0.526
Cl -7.597 4.258 3.269
Cl -6.657 1.585 2.607
Cl -4.809 3.832 2.556
C 1.803 -9.080 -5.212
Cl 0.323 -8.272 -5.790
Cl 2.638 -9.845 -6.588
Cl 2.880 -7.877 -4.458
Cl 1.371 -10.325 -4.013
C -5.097 -1.943 7.144
Cl -6.428 -2.184 5.984
Cl -5.263 -3.100 8.488
Cl -3.538 -2.207 6.322
Cl -5.158 -0.279 7.780
C -3.597 -8.361 -5.516
Cl -3.699 -6.828 -4.615
Cl -2.795 -8.078 -7.081
Cl -2.656 -9.543 -4.572
Cl -5.238 -8.996 -5.795
C -7.797 8.489 2.600
Cl -8.699 7.971 4.047
Cl -6.313 9.339 3.098
Cl -7.365 7.060 1.627
Cl -8.812 9.585 1.628
C -9.912 -3.309 8.309
Cl -10.480 -4.042 9.830
Cl -10.740 -1.752 8.054
Cl -8.153 -3.039 8.401
Cl -10.274 -4.404 6.951
C 9.460 3.746 6.115
Cl 9.061 2.180 6.864
Cl 7.981 4.476 5.441
Cl 10.152 4.834 7.345
Cl 10.647 3.495 4.810
C -7.040 -11.551 -9.006
Cl -7.439 -13.118 -8.257
Cl -8.519 -10.821 -9.680
Cl -6.348 -10.464 -7.776
Cl -5.853 -11.802 -10.312
C 5.261 -2.471 7.742
Cl 4.167 -2.322 6.343
Cl 6.145 -4.015 7.643
Cl 6.422 -1.120 7.734
Cl 4.308 -2.427 9.247
C -6.440 -6.106 4.878
Cl -6.834 -5.820 3.164
Cl -7.551 -5.168 5.908
Cl -6.611 -7.841 5.246
Cl -4.762 -5.594 5.195
C -6.740 -7.894 -1.546
Cl -6.328 -6.765 -0.229
Cl -7.694 -9.248 -0.890
Cl -7.693 -7.039 -2.784
Cl -5.242 -8.523 -2.278

Properties
orbital gap: 7.704 eV
net charge: +1

=====

A 2-piece molecular cluster, C4H8O overall at a distorted geometry. Source: the OMol25 dataset; level of theory: wB97M-V/def2-TZVPD.

Positions of all 13 atoms, in Å:
C 1.409 -4.185 0.523
C 0.764 -4.057 1.686
H 2.110 -3.411 0.234
H 1.359 -5.145 0.025
H 0.960 -3.138 2.230
H 0.449 -4.954 2.205
O -0.641 2.138 0.115
C -0.948 2.715 -0.889
C -1.149 4.208 -1.049
H -0.696 2.129 -1.791
H -1.828 4.420 -1.874
H -1.613 4.631 -0.161